Now filter the block underneath: keep the lines with the word "Rh".
-- begin --
a:
# Rb3Nd

Rb3Nd after structural relaxation (PBE-GGA, Materials Project).

M_tot	2.498	μB per formula unit
calculated volume	69.0	Å³/atom
space-group type	Fm-3m, No. 225

Cell: 7.3075 7.3075 7.3075 Å, 60.00 60.00 60.00°
Positions (direct):
Rb  0.2500  0.2500  0.2500
Rb  0.7500  0.7500  0.7500
Rb  0.5000  0.5000  0.5000
Nd  0.0000  0.0000  0.0000

---

b:
# Rb3Nd

Rb3Nd after structural relaxation (PBE-GGA, Materials Project).

M_tot	0.685	μB per formula unit
calculated volume	66.1	Å³/atom
space-group type	I4/mmm, No. 139

Cell: 8.2385 8.2385 8.2385 Å, 136.18 136.18 63.71°
Positions (direct):
Rb  0.5000  0.5000  0.0000
Rb  0.7500  0.2500  0.5000
Rb  0.2500  0.7500  0.5000
Nd  0.0000  0.0000  0.0000

---

Least stable: a

---

a:
# NdSi2Rh3

NdSi2Rh3 after structural relaxation (PBE-GGA, Materials Project).

M_tot	0.000	μB per formula unit
calculated volume	16.7	Å³/atom
space-group type	P6/mmm, No. 191

Cell: 5.5978 5.5978 3.6871 Å, 90.00 90.00 120.00°
Positions (direct):
Nd  0.0000  0.0000  0.0000
Si  0.6667  0.3333  0.0000
Si  0.3333  0.6667  0.0000
Rh  0.5000  0.0000  0.5000
Rh  0.0000  0.5000  0.5000
Rh  0.5000  0.5000  0.5000

---

b:
# NdSi2Rh3

NdSi2Rh3 after structural relaxation (PBE-GGA, Materials Project).

calculated volume	16.5	Å³/atom
space-group type	Imma, No. 74

Cell: 5.6242 6.6908 6.6908 Å, 64.95 65.15 65.15°
Positions (direct):
Nd  0.5394  0.7500  0.7500
Nd  0.4606  0.2500  0.2500
Si  0.2236  0.5785  0.5785
Si  0.7764  0.4215  0.4215
Si  0.1194  0.0785  0.0785
Si  0.8806  0.9215  0.9215
Rh  0.5000  0.2163  0.7837
Rh  0.0000  0.7163  0.2837
Rh  0.5000  0.7837  0.2163
Rh  0.0000  0.2837  0.7163
Rh  0.0000  0.5000  0.0000
Rh  0.0000  0.0000  0.5000

---

Least stable: a

---

a:
# Nd2SiS5

Nd2SiS5 after structural relaxation (PBE-GGA, Materials Project).

M_tot	0.001	μB per formula unit
calculated volume	27.0	Å³/atom
space-group type	P2_1/c, No. 14

Cell: 8.2126 8.6604 12.1747 Å, 92.78 90.00 90.00°
Positions (direct):
Nd  0.4271  0.5048  0.6610
Nd  0.9271  0.4952  0.8390
Nd  0.5729  0.4952  0.3390
Nd  0.0729  0.5048  0.1610
Nd  0.4256  0.7440  0.0075
Nd  0.9256  0.2560  0.4925
Nd  0.5744  0.2560  0.9925
Nd  0.0744  0.7440  0.5075
Si  0.2161  0.0401  0.2155
Si  0.7161  0.9599  0.2845
Si  0.7839  0.9599  0.7845
Si  0.2839  0.0401  0.7155
S  0.5913  0.5261  0.8677
S  0.0913  0.4739  0.6323
S  0.4087  0.4739  0.1323
S  0.9087  0.5261  0.3677
S  0.7989  0.9464  0.4434
S  0.2989  0.0536  0.0566
S  0.2011  0.0536  0.5566
S  0.7011  0.9464  0.9434
S  0.6693  0.7590  0.1930
S  0.1693  0.2410  0.3070
S  0.3307  0.2410  0.8070
S  0.8307  0.7590  0.6930
S  0.0995  0.6797  0.9797
S  0.5995  0.3203  0.5203
S  0.9005  0.3203  0.0203
S  0.4005  0.6797  0.4797
S  0.3300  0.8270  0.7715
S  0.8300  0.1730  0.7285
S  0.6700  0.1730  0.2285
S  0.1700  0.8270  0.2715

---

b:
# Nd2SiS5

Nd2SiS5 after structural relaxation (PBE-GGA, Materials Project).

calculated volume	22.8	Å³/atom
space-group type	P2_1/c, No. 14

Cell: 12.5323 7.5849 7.8285 Å, 78.71 90.00 90.00°
Positions (direct):
Nd  0.8353  0.8401  0.6327
Nd  0.1647  0.1599  0.3673
Nd  0.3353  0.1599  0.8673
Nd  0.6647  0.8401  0.1327
Nd  0.4061  0.7603  0.5420
Nd  0.5939  0.2397  0.4580
Nd  0.9061  0.2397  0.9580
Nd  0.0939  0.7603  0.0420
Si  0.1166  0.6653  0.5931
Si  0.8834  0.3347  0.4069
Si  0.6166  0.3347  0.9069
Si  0.3834  0.6653  0.0931
S  0.4717  0.8266  0.8852
S  0.5283  0.1734  0.1148
S  0.9717  0.1734  0.6148
S  0.0283  0.8266  0.3852
S  0.2042  0.8680  0.6943
S  0.7958  0.1320  0.3057
S  0.7042  0.1320  0.8057
S  0.2958  0.8680  0.1943
S  0.2292  0.4715  0.5478
S  0.7708  0.5285  0.4522
S  0.7292  0.5285  0.9522
S  0.2708  0.4715  0.0478
S  0.8786  0.8638  0.9987
S  0.1214  0.1362  0.0013
S  0.3786  0.1362  0.5013
S  0.6214  0.8638  0.4987
S  0.4956  0.4213  0.7194
S  0.5044  0.5787  0.2806
S  0.9956  0.5787  0.7806
S  0.0044  0.4213  0.2194

---

Least stable: a

---

a:
# Nd10Se19

Nd10Se19 after structural relaxation (PBE-GGA, Materials Project).
-- stop --
Rh  0.5000  0.0000  0.5000
Rh  0.0000  0.5000  0.5000
Rh  0.5000  0.5000  0.5000
Rh  0.5000  0.2163  0.7837
Rh  0.0000  0.7163  0.2837
Rh  0.5000  0.7837  0.2163
Rh  0.0000  0.2837  0.7163
Rh  0.0000  0.5000  0.0000
Rh  0.0000  0.0000  0.5000